Job >
What is needed: repeat every line further below that contains the word "index".

Excerpt >
____________
Simulated X-ray powder pattern of Gd3Te2P for copper Kα, from DFT lattice parameters and positions (PBE).
Lines closer than 0.1° are merged.

Principal peaks in the range 2θ = 10–80°, in order of rising 2θ:
| d (Å) | 2θ/deg | Rel. int. | index |
| --- | --- | --- | --- |
| 3.461 | 25.7 | 15 | 0 1 1 |
| 3.026 | 29.5 | 100 | 1 0 2 |
| 2.565 | 35.0 | 12 | 0 1 3 |
| 2.172 | 41.6 | 31 | 0 1 4 |
| 2.110 | 42.9 | 37 | 1 1 0 |
| 1.731 | 52.9 | 19 | 0 2 2 |
| 1.513 | 61.3 | 10 | 2 0 4 |
| 1.369 | 68.5 | 11 | 1 1 6 |
| 1.338 | 70.4 | 16 | 2 1 2 |
| 1.230 | 77.7 | 10 | 1 2 4 |

```
data_Gd3Te2P
_chemical_formula_sum 'Gd3 Te2 P1'
_symmetry_space_group_name_H-M 'P 1'
_symmetry_Int_Tables_number 1
_symmetry_space_group_name_Hall 'P 1'
_cell_length_a 4.219
_cell_length_b 4.219
_cell_length_c 10.802
_cell_angle_alpha 90.00
_cell_angle_beta 90.00
_cell_angle_gamma 120.00
loop_
_atom_site_label
_atom_site_type_symbol
_atom_site_fract_x
_atom_site_fract_y
_atom_site_fract_z
Gd1 Gd 0.000 0.000 0.000
Gd2 Gd 0.333 0.667 0.366
Gd3 Gd 0.667 0.333 0.634
Te1 Te 0.333 0.667 0.824
Te2 Te 0.667 0.333 0.176
P1 P 0.000 0.000 0.500
```

~~~~~

No. 1
Theoretical powder diffractogram of DyEr3Pu3Te8 for Cu Kα, 1.54184 Å, from a cell relaxed with PBE.
Intensities are scaled so that the largest is 100.

Principal peaks in the range 10 to 80 degrees two-theta, sorted by position:
- 2θ 28.90, rel. 100.0
- 2θ 41.31, rel. 63.8
- 2θ 51.14, rel. 13.8
- 2θ 51.31, rel. 13.6
- 2θ 59.89, rel. 12.8
- 2θ 67.78, rel. 17.7

Crystal structure
Unit cell a=8.7336 b=8.7336 c=8.7529 alpha=120.00 beta=120.00 gamma=59.85
Sites, in units of the cell vectors:
1 Dy 0.0000 0.0000 0.0000
2 Er 0.0000 0.5000 0.0000
3 Er 0.5000 0.0000 0.0000
4 Er 0.5000 0.5000 0.0000
5 Pu 0.0000 0.0000 0.5000
6 Pu 0.0000 0.5000 0.5000
7 Pu 0.5000 0.0000 0.5000
8 Te 0.2532 0.2532 0.2475
9 Te 0.2527 0.2527 0.7576
10 Te 0.2529 0.7401 0.2465
11 Te 0.2599 0.7471 0.7535
12 Te 0.7401 0.2529 0.2465
13 Te 0.7471 0.2599 0.7535
14 Te 0.7473 0.7473 0.2424
15 Te 0.7468 0.7468 0.7525

=====

No. 2
Theoretical powder diffractogram of DyEr4Tm2Pu for Cu Kα, 1.54184 Å, from a cell relaxed with PBE.
Intensities are scaled so that the largest is 100.

Principal peaks in the range 10 to 80 degrees two-theta, sorted by position:
- 2θ 31.44, rel. 100.0
- 2θ 36.47, rel. 50.6
- 2θ 52.48, rel. 18.0
- 2θ 52.57, rel. 17.9
- 2θ 62.41, rel. 10.7
- 2θ 62.53, rel. 24.8

Crystal structure
Unit cell a=6.9652 b=6.9652 c=12.0992 alpha=106.87 beta=106.87 gamma=59.94
Sites, in units of the cell vectors:
1 Dy 0.0000 0.5000 0.0000
2 Dy 0.5000 0.0000 0.0000
3 Er 0.2462 0.7542 0.2506
4 Er 0.2458 0.7538 0.7494
5 Er 0.2471 0.2471 0.2463
6 Er 0.2466 0.2466 0.7447
7 Er 0.7534 0.7534 0.2553
8 Er 0.7529 0.7529 0.7537
____________

Done >
| d (Å) | 2θ/deg | Rel. int. | index |